Friday, July 23, 2010

Out With A Bang!

Great way to wind up the 2nd half of the season. Open Meadow got straight up gloved last night, barely avoiding another Glove Ahead Rule, 17-8. And not to make any excuses, but those 8 runs they scored were the benefit of some gnarly sun out there in the left field part of the diamond. Props to Ali, Scott, Matthew, Kendra & Dylan for fighting through the elements and giving us a chance to win.

We finished 2-2-1 in this half of the league, and those two losses could very easily have gone the other way. Not too shabby considering we played with a lot of subs and didn't have a very consistent lineup all season long. Despite all that, we can still end up in 2nd place depending on the outcome of the game between Hammertime and Open Meadow on August 5.

Now, on to the top plays...

1. Straight out of an ESPN web gems reel, Ali battled the sun and the wind and gloved a fly ball waaaayyyyy out in foul territory near the fence, through the other team's dugout, over the tarp and in between a couple of fans looking for a souvenir. Big out, bigger catch.

2. Boing! Weird play at home plate last night more out of a George Michael Sports Machine highlight than ESPN... An errant throw from the outfield had Shawna playing the carom off the fence in front of the other team's dugout, a runner tried scoring from 3rd base, but a heads up play by Dan at home plate got the force out saving a run. High baseball IQ on that play.

4
Lattice="-3.134 3.583 1.336 -3.821 -2.863 -1.284 -0.157 -1.846 4.584" Properties=species:S:1:pos:R:3 comment="Pm3Pb r2SCAN relaxed" formation_energy_ev_per_fu=-1.7 pbc="T T T"
Pm -1.989 -2.355 1.650
Pm -3.477 0.360 0.026
Pm -1.646 0.868 2.960
Pb 0.000 0.000 0.000

***

60
Lattice="-3.961 -17.352 -1.019 2.422 -0.132 -7.167 7.772 -1.784 0.158" Properties=species:S:1:pos:R:3 comment="K2Te4O9 r2SCAN relaxed" formation_energy_ev_per_fu=-20.5 pbc="T T T"
K 3.450 -17.053 -7.093
K 5.395 -8.686 -1.183
K 2.783 -2.215 -0.934
K 0.837 -10.582 -6.845
K 4.182 -14.680 -1.765
K 5.897 -5.654 -6.194
K 2.051 -4.587 -6.263
K 0.336 -13.614 -1.834
Te 6.008 -14.646 -5.047
Te 4.182 -5.198 -2.883
Te 0.225 -4.622 -2.981
Te 2.051 -14.070 -5.144
Te 2.266 -17.210 -3.418
Te 6.488 -8.930 -4.882
Te 3.967 -2.058 -4.610
Te -0.255 -10.338 -3.146
Te -0.255 -16.180 -6.819
Te 1.348 -7.693 -1.610
Te 6.488 -3.088 -1.208
Te 4.885 -11.574 -6.417
Te -1.974 -16.143 -3.733
Te 2.991 -8.061 -4.716
Te 8.207 -3.125 -4.295
Te 3.242 -11.207 -3.312
O -1.098 -13.991 -6.528
O 3.061 -6.068 -1.677
O 7.331 -5.276 -1.500
O 3.172 -13.200 -6.350
O 3.137 -15.552 -4.708
O 6.387 -7.213 -3.394
O 3.096 -3.716 -3.320
O -0.154 -12.055 -4.634
O 1.668 -15.909 -2.286
O 7.618 -7.898 -5.877
O 4.565 -3.359 -5.742
O -1.385 -11.370 -2.151
O -0.209 -16.354 -4.923
O 1.278 -7.618 -3.512
O 5.578 -1.329 -1.078
O 6.442 -2.914 -3.104
O 1.366 -15.286 -7.053
O 0.267 -6.218 -1.237
O 4.867 -3.982 -0.974
O 5.966 -13.050 -6.790
O 4.015 -17.433 -2.643
O 4.834 -8.287 -5.632
O 2.218 -1.834 -5.384
O 1.399 -10.981 -2.396
O 2.529 -10.484 -4.868
O 1.351 -1.176 -2.844
O 3.704 -8.784 -3.159
O 4.882 -18.092 -5.184
O 2.766 -13.078 -3.532
O 7.821 -5.029 -4.296
O 3.467 -6.190 -4.495
O -1.588 -14.239 -3.732
O -0.237 -8.888 -1.653
O 0.655 -17.938 -6.950
O 6.470 -10.380 -6.375
O 4.955 -11.650 -4.516

***

6
Lattice="2.635 -4.564 0.000 2.635 4.564 0.000 0.000 0.000 4.026" Properties=species:S:1:pos:R:3 comment="LaZn3Ni2 r2SCAN relaxed" formation_energy_ev_per_fu=-2.1 pbc="T T T"
La 0.000 0.000 0.000
Zn 2.635 0.000 2.013
Zn 1.318 -2.282 2.013
Zn 1.318 2.282 2.013
Ni 2.635 -1.521 0.000
Ni 2.635 1.521 0.000

***

64
Lattice="14.682 0.000 0.000 0.000 14.682 0.000 0.000 0.000 14.682" Properties=species:S:1:pos:R:3 comment="CsSn r2SCAN relaxed" formation_energy_ev_per_fu=-0.8 pbc="T T T"
Cs 9.747 13.719 2.077
Cs 4.892 4.892 4.892
Cs 4.936 13.719 12.605
Cs 9.790 4.892 9.790
Cs 9.418 8.305 12.277
Cs 12.233 12.233 12.233
Cs 12.233 2.449 2.449
Cs 8.305 12.277 9.418
Cs 2.449 12.233 2.449
Cs 9.747 0.964 12.605
Cs 4.936 0.964 2.077
Cs 2.405 9.418 6.377
Cs 2.449 2.449 12.233
Cs 5.264 6.377 12.277
Cs 4.892 9.790 9.790
Cs 9.418 6.377 2.405
Cs 9.790 9.790 4.892
Cs 2.077 4.936 0.964
Cs 0.964 12.605 9.747
Cs 6.377 2.405 9.418
Cs 6.377 12.277 5.264
Cs 12.605 9.747 0.964
Cs 13.719 2.077 9.747
Cs 8.305 2.405 5.264
Cs 13.719 12.605 4.936
Cs 5.264 8.305 2.405
Cs 12.277 9.418 8.305
Cs 0.964 2.077 4.936
Cs 12.277 5.264 6.377
Cs 2.077 9.747 13.719
Cs 2.405 5.264 8.305
## The materials data stop here

3. From the mound, two nice catches from the pitcher. Same hitter jacks two line drives right up the middle, Marcus catches them both for inning ending and game ending outs... He makes it look so easy, but he has the bruise on his hand today to show for it. Nice job, Coach!

On that note and at the risk of sounding self aggrandizing (sucking my own dick?), I have to give (accept?) POTG to Marcus who a pretty good game last night. At the plate, 4 for 4 with 3 runs scored and 2 RBIs. On the mound, he showed some very good control of his pitches (not as easy as it looks with the wind blowing and the sun in his eyes) including 4 Ks (strikeouts), 3 put outs at 1st base, in addition to those two line drive catches. But a pitcher is only as good as the 8 people behind him and the 1 person behind the plate; for all the Glovely defense all season long, thanks for making me look good :)

Everyone also deserves another beer and a pat on the back for an awesome 4th inning. We batted all the way around the lineup, everyone got a hit that inning, and we scored 8 runs to lock up the win last night. We smelled blood, and we went for the kill...

Ball game.

Friday, July 16, 2010


We didn't win. And we didn't lose.

It was close and competitive (we played a very tough team, unlike last week), and despite the unresolved outcome I think every one of us had a great time. So nice to be part of a competitive game instead of the lop-sided ones we've been a part of all too often this year.

And now, without any ado whatsoever I'll jump right into the top plays...

1. The outfield played solid. Despite some very hard hit balls, everyone in the outfield made some timely and aggressive plays. Kendra and Dylan, in particular, charged some low hit balls in the shallow part of the outfield and came up with some big outs. Playing against a very hard hitting and offensive minded team, every out was a big one. Mark and Scott also made some very big outs, rounding out a very solid defensive game for The Glove.

2. Thunder Dan came up with another web gem, diving to his right and catching the ball on the fly for a spectacular inning-ending out. Dan, we're getting used to these...

3. Double plays: Two big ones.
a. Ali to Dan on a 6-3 double play on a very hard hit ball; Ali fielded the ball cleanly for the force out at 3rd and threw a rocket across the diamond to Dan, who had to stretch for the put out at 1st.
b. Top of the 7th inning, with a runner in scoring position, Marcus fields a short hit ball on the infield, leaps through the air and fires a strike (a la Derek Jeter) to Scott for the force out at 2nd who completed the DP on a solid throw to Dan at 1st base saving a run at a critical time of the game, giving us a chance to tie or win the game.

This game was filled with some really good softball, offensively and defensively. A 9-9 tie game through seven innings just goes to show that there wasn't a lot of room for error, and because of that there can only be one unanimous player of the game...

Ali Brown. Ali has been a force at 3rd base all season long. 3rd base is not a position for the faint of heart, and Ali not only plays the position with deft skill and grace but I think she actually loves the pressure that goes along with playing the 'hot corner.' We've played some teams this year that hit the ball hard, and Ali has been up for the challenge every single game. Ali was part of some big plays on Thursday night, a couple of double plays, shagging some hard hit balls to help keep runners from getting more than a single base, plus she went 3 for 4 at the plate scoring a big run during a very important 4th inning. She's not only the first person to take on a challenge, but more importantly she is the first person to cheer on her teammates. I'm happy to be on your team, Ali, and I'm very happy to have you cover my ass at 3rd base.

Special thanks to our subs who came out on Thursday. Andrea and Anna not only filled some very big shoes with a missing Abbey and Jonanna, but they contributed healthily at the plate and on defense. This also meant we could get SG out from behind the plate, and she played an amazing 2nd base. Way to go, SG!

Another valuable sub, Mixmaster Mike who filled in for Leticia on the scorebook. Mike had never kept score before, but we could not have tied the game without him ;)

Special recognition goes to Dylan who celebrated his 43rd birthday with us on Thursday. A few of us celebrated with him long into the night (and paid dearly for it on Friday), and it was nice to know that playing a game with The Glove was at the top of his wish list on his special day.

Happy Birthday, Dylan, aka The Badman.

Friday, July 9, 2010

The Field was Hot, ...but that was about it.

I want to start out by offering a quick apology. I hurled every pitch last night with the intention of throwing strikes (I hope you all know that I would never sandbag The Glove), but it just wasn't my night.

The rest of you put together a very nice comeback scoring 7 runs in a very lopsided game. Under different circumstances, that would have been more than enough to secure a win (especially against those no-bat-swinging motherfuckers), but you take the good, you take the bad, you take them both and there you have... a Run Ahead Rule game that went against us this time.

On the brighter side of life, there were a couple of things to be happy about. Scott stepped in and offered up some solid pitching after a disastrous start to the game. Dylan consistently hit his cutoff man on his throws from the outfield, including a bang-bang fielding play that prevented a double on a well hit ball to right field. Plus, everyone played their best on a very challenging, very hot and very sunny day at the ballpark.

Player of the Game: Sarah Symons-Glegorio (aka SG, as she is known to her entourage) played a very solid game last night. She helped save a run with a force out at homeplate, and she lined a rocket for a solid base hit that scored a run in the middle of that 7-run 4th inning. SG has put together a few solid weeks of play behind the plate and swinging the bat; she likes to fly under the radar, but she does not go unnoticed. Thanks for anchoring our infield, and an extra special thanks for catching my shitty pitches :)

I want to officially welcome Matthew to The Glove. After many weeks of trying to fill that 6th man spot on our roster, I think we found the right man for the job. If you haven't spoken to him yet, introduce yourself and make him feel like he's part of the family.

I also want to thank Julia for filling in on such short notice.

And lastly, I want to thank all of you for the support you give me on the mound; I hear every word from each one of you behind me, as well as every one of you in the stands.

Friday, July 2, 2010

Played Hard and Put Away Wet

I am still wet from the game last night. Physically wet. Emotionally wet. It was a challenge playing in the rain; throwing a wet ball, catching a wet ball, playing on a wet field.

The game never should have been played, but once we got started it wouldn't have been fair to one team or the other to suspend the game because the score was so close, we kept going back and forth. I could sense everyone's frustrations (I'm sure everyone could see my frustration!), but in vintage Glove style we fought through the adversity and pulled out the win against a pretty solid team.

There weren't a lot of highlights, not a lot of web gems. I think it's almost enough that everyone made it through the game last night without getting hurt, but I need to point out two really amazing things:

1. Every single Glover got on base.
2. Every single Glover scored.

As far as I am concerned, I think there can be only one top play, one player of the game: Dylan Magierek. It reads like a childhood dream, and here it goes...

Bottom of the last inning. We're down by 1 run. Bases are loaded. Two outs. The count is 2 balls and 2 strikes... BAM! Dylan drills a line drive up the middle to score two runs, Smell the Glove wins on a walk-off hit. In a game that was wet and sloppy, the last play was perfection.

Great game last night everyone. I know it wasn't easy. Thanks for not giving up, thanks for playing hard.